Typical Project Flow

Typical project flow

Let's take a typical project and see how you can build your traceability matrix and your test campaigns.
The company you work for wants to create a new product. It's a cheap four-color pen.
This pen is going to be delivered in 3 internal releases:

  • Pen v0.1 that is the first prototype of a cheap ball-point pen capable of writing in black only
  • Pen v0.2 is an improved version that can also write in red
  • Pen v1.0 is the final version of the 4-colors pen
For each of these releases, we may be delivered several builds.

Pen project

Pen 0.1

The Pen v0.1 contains 3 basic requirements (these requirements can be organized the way you want in the requirements tree).
To test this pen we'll need to test the 3 requirements. For this, 6 tests will need to be performed.

Pen v0.1 project
  • Create the SUT Pen 0.1a in the SUTs tree
  • Create the 3 requirements in the requirements tree
  • Link the SUT with these 3 requirements
  • Create the 6 tests in the tests tree
  • Link each of the 3 requirements with the relevant tests

These 6 tests are not so long to execute so we don't need to split it in several campaign. We can just create 1 test campaign (X on the above schema). We'll be able to generate a testplan based on this campaign. Each time we receive a new build we'll be able to execute (fully or partially) this campaign on the newly delivered build and generate a test report. We'll also be able to generate a consolidated report.

  • Create a campaign Campaign Pen v0.1 in the campaign tree
  • Use the Import from SUT feature to let XQual select automatically the 6 tests corresponding to Pen v0.1 for you
  • Generate the test plan from the campaign

Build Pen v0.1a is delivered

  • Create a session Session Pen v0.1a targeting Pen 0.1a and assign it to Mary
  • Mary executes the session

Build Pen v0.1b is delivered

  • Create a new SUT Pen 0.1b (use the inheritance feature to inherit all the requirements from the Pen 0.1a)
  • Create a session Session Pen v0.1b (or Copy Session Pen v0.1b and just change the target SUT on the fly to Pen 0.1b)
  • Assign it to John
  • John starts executing the session but get sick in the middle and has to go home
  • Use the residual campaign generation feature to let XQual create automatically a campaign Campaign Pen v0.1 (follow-up John) that contains only the tests that have not been successful previously
  • Create a session Session Pen v0.1b (follow up John) on the follow-up campaign
  • Assign it to Jim
  • Jim executes the residual session

Reporting on the product Pen v0.1

  • Use the merge feature to let XQual consolidate ALL the 3 sessions in Session Pen v0.1 consolidated
  • Generate a test report on the consolidated session
  • It's also possible to generate a test report on each individual session and/or to check the individual results of each session independently

**Data records that have nothing to do with the text:**
No. 1
ORCA calculation (wB97M-V/def2-TZVPD) on an isolated molecule of C4H9NO2.

ORCA input file:
```
! RIJCOSX wB97M-V def2-TZVPD def2/J DEFGRID3
* xyz 0 1
O 2.269 -1.373 -2.550
C 1.131 -1.113 -2.136
C 0.584 -1.392 -0.786
C -0.078 -0.068 -0.309
N -0.256 -0.023 1.140
C -0.410 1.311 1.829
O -1.812 1.705 1.626
H 0.330 -0.757 -2.938
H -0.038 -2.380 -0.759
H 1.511 -1.641 -0.162
H 0.645 0.720 -0.717
H -1.069 -0.072 -0.868
H -1.127 -0.423 1.485
H -0.147 1.178 2.875
H 0.377 1.976 1.327
H -1.910 2.352 0.944
*
```

The total energy is -9877.13410 eV. Its structure (SMILES) is O=CCCNCO. Its frontier orbital gap is 10.03 eV. The value obtained for the relative energy (zero: lowest compared OMol25 entry of this formula, charge and spin) is 282.4 kJ/mol.

Atom charges from the Mulliken analysis, given in e for atoms 1 to 2: atom 1 (O): -0.4882, atom 2 (C): 0.0265

---

No. 2
ORCA calculation (wB97M-V/def2-TZVPD) on a cluster of 2 separate species, C3H6IO3P in total.

ORCA input file:
```
! RIJCOSX wB97M-V def2-TZVPD def2/J DEFGRID3
* xyz 0 1
C -0.134 -2.480 3.332
C -0.620 -0.048 -3.012
C 1.127 0.867 1.620
O 0.051 -1.880 4.269
O -0.358 0.750 -1.894
O 0.672 1.131 0.290
P 0.026 -0.073 -0.521
I -2.268 -0.018 0.419
H -0.242 -1.062 -3.074
H -0.255 0.379 -3.994
H -1.720 -0.182 -3.302
H 0.239 0.851 2.216
H 1.622 1.813 1.856
H 1.861 -0.048 1.795
*
```

The total energy is -26740.13521 eV. Its frontier orbital gap is 9.56 eV. The value obtained for the relative energy (zero: lowest compared OMol25 entry of this formula, charge and spin) is 114.0 kJ/mol.

Atom charges from the Mulliken analysis, given in e for atoms 1 to 2: atom 1 (C): 0.1315, atom 2 (C): -0.7589

---

No. 3
ORCA calculation (wB97M-V/def2-TZVPD) on the ion C3H6F3N3O with charge +2.

ORCA input file:
```
! RIJCOSX wB97M-V def2-TZVPD def2/J DEFGRID3
* xyz 2 1
C 1.139 -0.788 -0.638
N 0.016 -0.019 -0.032
C -1.064 -1.089 0.147
N 0.374 0.456 1.222
N 0.443 0.829 2.304
O 0.437 1.246 3.321
C -0.404 1.349 -1.025
F -0.634 0.826 -2.167
F 0.707 2.000 -1.027
F -1.380 1.933 -0.356
H 1.618 -0.237 -1.524
H 1.925 -0.924 0.235
H 0.830 -1.763 -1.015
H -1.865 -0.808 0.945
H -1.493 -0.930 -0.831
H -0.648 -2.080 0.441
*
```

The total energy is -17851.43336 eV. Its structure (SMILES) is C[N+](C)(N=[N+]=O)C(F)(F)F. Its frontier orbital gap is 12.11 eV. The value obtained for the relative energy (zero: lowest compared OMol25 entry of this formula, charge and spin) is 39.2 kJ/mol.

Atom charges from the Mulliken analysis, given in e for atoms 1 to 2: atom 1 (C): -0.5969, atom 2 (N): 0.4905

---

No. 4
ORCA calculation (wB97M-V/def2-TZVPD) on a cluster of 2 separate species, C5H14O3 in total.

ORCA input file:
```
! RIJCOSX wB97M-V def2-TZVPD def2/J DEFGRID3
* xyz 0 1
O -1.843 2.390 -0.227
C -2.912 1.454 0.095
C -2.445 -0.079 0.092
C -1.157 -0.196 0.733
C -0.419 -1.513 0.457
C 1.066 -1.577 0.714
O 1.672 -1.198 -0.558
H -1.170 2.340 0.458
H -3.201 1.866 1.081
H -3.691 1.789 -0.713
H -2.278 -0.339 -0.995
H -3.224 -0.869 0.323

Pen v0.1 campaigns

Pen 0.2

Pen v0.2 is an improved version of Pen v0.1 since it includes a new feature (it can write in red).
8 tests will need to be executed to fully test this release so we decide to split the execution on 2 campaigns:
- one to test the features inherited from Pen v0.1 that will be executed by Jim (X on the schema below)
- another one focusing on the new feature that will be executed by Cindy (Y on the schema below)

== The entry is interrupted by molecular data ==
/*
--- A ---
Formula: C3H7F2NS
Source: OMol25
Level of theory: ωB97M-V with the def2-TZVPD basis set

The gap between HOMO and LUMO comes out at 10.01 eV. The calculation puts the HOMO energy at -9.1 eV. The SMILES is N[C@@H](CS)C(F)F. Its LUMO energy is 0.91 eV.

```
! wB97M-V def2-TZVPD RIJCOSX def2/J DEFGRID3
* xyz 0 1
N 0.41 0.93 -1.14
C 0.11 0.28 0.09
C -1.19 -0.63 -0.02
S -2.71 0.46 -0.20
C 1.42 -0.50 0.65
F 2.32 0.40 0.78
F 1.85 -1.33 -0.39
H 1.41 1.22 -1.03
H 0.35 0.41 -2.03
H -0.04 0.96 0.96
H -1.37 -1.33 0.84
H -1.24 -1.00 -1.04
H -2.73 1.17 0.88
H 1.40 -1.03 1.64
*
```

Mulliken atomic charge list, values in e, 2 entries: N -0.6456; C 0.2461

--- B ---
Formula: C3H7F2NS
Source: OMol25
Level of theory: ωB97M-V with the def2-TZVPD basis set

The gap between HOMO and LUMO comes out at 10.09 eV. The calculation puts the HOMO energy at -9.4 eV. The SMILES is [H]/N=C/CS.FCF. Its LUMO energy is 0.73 eV.

```
! wB97M-V def2-TZVPD RIJCOSX def2/J DEFGRID3
* xyz 0 1
H 1.26 -1.76 -1.24
N 0.76 -0.94 -1.00
C 1.28 0.04 -0.42
C 0.47 1.27 -0.35
S 0.89 2.14 -1.91
H 2.22 -0.03 0.14
H 0.53 1.94 0.45
H -0.60 0.92 -0.62
H 2.27 1.96 -1.57
F -3.04 -1.20 1.83
C -1.80 -1.05 1.30
F -0.91 -1.67 2.07
H -1.64 -1.59 0.28
H -1.69 -0.05 1.04
*
```

Mulliken atomic charge list, values in e, 2 entries: H 0.2004; N -0.5602

Top of the stability list: A, leading by 98.6 kJ/mol.

--- A ---
Formula: C3H8NOS
Source: OMol25
Level of theory: ωB97M-V with the def2-TZVPD basis set

The gap between HOMO and LUMO comes out at 9.31 eV. The calculation puts the HOMO energy at -13.4 eV. The SMILES is [NH3+][C@H](C=O)CS. Its LUMO energy is -4.08 eV.

```
! wB97M-V def2-TZVPD RIJCOSX def2/J DEFGRID3
* xyz 1 1
N 1.66 -0.37 -1.36
C 0.29 -0.02 -0.62
C 0.42 1.54 -0.19
O 1.28 2.26 -0.59
C -0.08 -0.97 0.51
S -1.84 -0.96 1.10
H 1.89 -1.31 -1.16
H 1.50 -0.23 -2.37
H 2.28 0.32 -0.94
H -0.47 -0.08 -1.44
H -0.57 1.89 0.33
H 0.24 -2.02 0.18
H 0.56 -0.68 1.38
H -1.58 -1.28 2.43
*
```

Mulliken atomic charge list, values in e, 2 entries: N -0.2505; C -0.1786

--- B ---
Formula: C3H8NOS
Source: OMol25
Level of theory: ωB97M-V with the def2-TZVPD basis set

The gap between HOMO and LUMO comes out at 8.53 eV. The calculation puts the HOMO energy at -13.9 eV. Its LUMO energy is -5.39 eV.

```
! wB97M-V def2-TZVPD RIJCOSX def2/J DEFGRID3
* xyz 1 1
C 0.42 0.32 1.30
C 0.10 -0.53 0.17
C -0.75 -0.05 -0.89
N -1.82 0.93 -0.41
O 1.41 0.11 0.25
S 2.83 -0.84 0.64
H 0.06 1.37 1.41
H 0.61 -0.13 2.28
H 0.22 -1.63 0.24
H 0.08 0.52 -1.51
H -1.12 -0.85 -1.47
H -2.64 0.45 0.07
H -2.33 1.45 -1.18
H 2.92 -1.11 -0.89
*
```

Mulliken atomic charge list, values in e, 2 entries: C -0.3606; C 0.3542

Top of the stability list: A, leading by 304.9 kJ/mol.

--- A ---
Formula: C2H3NO3
Source: OMol25
Level of theory: ωB97M-V with the def2-TZVPD basis set
*/

Pen v0.2 project
  • Create a new SUT Pen 0.2a (use the inheritance feature to inherit all the requirements from Pen 0.1a and add a link to the new requirement)
  • Create a campaign Campaign Pen v0.2 Set X in the campaign tree
  • Use the Import from SUT feature to let XQual select automatically the 6 tests corresponding to Pen v0.1 for you
  • Create a campaign Campaign Pen v0.2 Set Y in the campaign tree by selecting manually the new required tests
  • Generate the test plan from the campaign

Build Pen v0.2a is delivered

  • Create a session Session Pen v0.2a Set X under the campaign Campaign Pen v0.2 Set X
  • Assign it to Jim
  • create a session Session Pen v0.2a Set Y under the campaign Campaign Pen v0.2 Set Y
  • Assign it to Cindy
  • Jim and Cindy execute the sessions

Build Pen v0.2b is delivered

  • Create a new SUT Pen 0.2b (use the inheritance feature to inherit all the requirements from the Pen 0.2a)
  • Create a session Session Pen v0.2b Set X (or Copy Session Pen v0.2a Set X and just change the target SUT on the fly to Pen 0.2b)
  • Assign it to Jim again
  • create a session Session Pen v0.2b Set Y (or Copy Session Pen v0.2b Set Y and just change the target SUT on the fly to Pen 0.2b)
  • Assign it to Cindy again
  • Jim and Cindy execute the sessions

Reporting on the product Pen v0.2

  • Use the merge feature to let XQual consolidate ALL the sessions in Session Pen v0.2 consolidated
  • Generate a test report on the consolidated session
  • It's also possible to generate a test report on each individual session and/or to check the results of each session independently

Pen v0.1 campaigns

Pen 1.0

Pen v1.0 is the final release candidate since it includes all the feature wished.
10 tests will need to be executed to fully test this release so we decide to split the execution on 3 campaigns. This time, we want to dispatch the tests in the campaigns manually based on some tags.

Pen v0.3 project
  • Create a new SUT Pen 1.0a (use the inheritance feature to inherit all the requirements from Pen 0.2a and add a link to the new requirements)
  • Create a test attribute Group
  • For each test, affect the Group attribute with one of the value X, Y or Z
  • Create a campaign Campaign Pen v1.0 Set X in the campaign tree
  • Use the Filter feature to let XQual select automatically all the tests having the attribute Group set to X
  • Create a campaign Campaign Pen v1.0 Set Y in the campaign tree
  • Use the Filter feature to let XQual select automatically all the tests having the attribute Group set to Y
  • Create a campaign Campaign Pen v1.0 Set Z in the campaign tree
  • Use the Filter feature to let XQual select automatically all the tests having the attribute Group set to Z

Build Pen v1.0a is delivered

  • Create a session Session Pen v1.0a Set X under the campaign Campaign Pen v1.0 Set X
  • Assign it to Mary
  • create a session Session Pen v1.0a Set Y under the campaign Campaign Pen v1.0 Set Y
  • Assign it to John
  • create a session Session Pen v1.0a Set Z under the campaign Campaign Pen v1.0 Set Z
  • Assign it to Jim
  • Mary, John and Jim execute the sessions

Build Pen v1.0b is delivered

  • Create a new SUT Pen 1.0b (use the inheritance feature to inherit all the requirements from the Pen 1.0a)
  • Create a session Session Pen v1.0b Set X (or Copy Session Pen v1.0a Set X and just change the target SUT on the fly to Pen 1.0b)
  • Assign it to Mary again
  • Create a session Session Pen v1.0b Set Y (or Copy Session Pen v1.0a Set Y and just change the target SUT on the fly to Pen 1.0b)
  • Assign it to John again
  • Create a session Session Pen v1.0b Set Z (or Copy Session Pen v1.0a Set Z and just change the target SUT on the fly to Pen 1.0b)
  • Assign it to Jim again
  • Mary, John and Jim execute the sessions

Build Pen v1.0c is delivered

  • Create a new SUT Pen 1.0c (use the inheritance feature to inherit all the requirements from the Pen 1.0a)
  • Create a session Session Pen v1.0c Set X (or Copy Session Pen v1.0a Set X and just change the target SUT on the fly to Pen 1.0c)
  • Assign it to Mary again
  • Create a session Session Pen v1.0c Set Y (or Copy Session Pen v1.0a Set Y and just change the target SUT on the fly to Pen 1.0c)
  • Assign it to John again
  • Create a session Session Pen v1.0c Set Z (or Copy Session Pen v1.0a Set Z and just change the target SUT on the fly to Pen 1.0c)
  • Assign it to Jim again
  • Mary, John and Jim execute the sessions

Reporting on the product Pen v1.0

  • Use the merge feature to let XQual consolidate ALL the sessions in Session Pen v1.0 consolidated
  • Generate a test report on the consolidated session
  • It's also possible to generate a test report on each individual session and/or to check the results of each session independently

Pen v0.3 campaigns